1.
VASP calculation (GGA-PBE) on Na3Sr3GaP4 after structural relaxation.

Density ... 3.1 Mg/m³
Size of the total moment ... 0.001 μB/f.u.
Crystal system ... hexagonal
Piezoelectric modulus e_max ... 0.47 C/m²
Energy of formation from the pure elements ... -17.96 kcal/mol of atoms

Cell lengths 9.4303, 9.4303, 7.4074 Å; angles 90.00, 90.00, 120.00 degrees
Fractional positions:
Na 0.1348 0.2696 0.0000
Na 0.1348 0.8652 0.0000
Na 0.2696 0.1348 0.5000
Na 0.7304 0.8652 0.0000
Na 0.8652 0.1348 0.5000
Na 0.8652 0.7304 0.5000
Sr 0.0460 0.5230 0.3296
Sr 0.4770 0.5230 0.3296
Sr 0.4770 0.9540 0.3296
Sr 0.5230 0.0460 0.8296
Sr 0.5230 0.4770 0.8296
Sr 0.9540 0.4770 0.8296
Ga 0.3333 0.6667 0.7054
Ga 0.6667 0.3333 0.2054
P 0.1906 0.3813 0.6102
P 0.1906 0.8094 0.6102
P 0.3333 0.6667 0.0450
P 0.3813 0.1906 0.1102
P 0.6187 0.8094 0.6102
P 0.6667 0.3333 0.5450
P 0.8094 0.1906 0.1102
P 0.8094 0.6187 0.1102

2.
VASP calculation (GGA-PBE) on DyCo2Si2 after structural relaxation.

Density ... 7.6 Mg/m³
Crystal system ... tetragonal
Energy of formation from the pure elements ... -18.50 kcal/mol of atoms

Cell lengths 5.5974, 5.5974, 5.5974 Å; angles 139.46, 139.46, 58.68 degrees
Fractional positions:
Dy 0.0000 0.0000 0.0000
Co 0.2500 0.7500 0.5000
Co 0.7500 0.2500 0.5000
Si 0.3718 0.3718 0.0000
Si 0.6282 0.6282 0.0000

* * * * *

VASP calculation (GGA-PBE) on Li9Sb3S after structural relaxation.

## Properties
Total energy ... -3.2697 eV/atom
MP2020-corrected energy ... -172.037 eV for the cell shown
Total magnetization ... 0.0 μB/cell

The structure in CIF format:
```
data_Li9Sb3S
_cell_length_a 7.7658
_cell_length_b 9.4498
_cell_length_c 14.5961
_cell_angle_alpha 90.00
_cell_angle_beta 107.50
_cell_angle_gamma 90.00
_space_group_name_H-M_alt 'P 1 21/c 1'
_space_group_IT_number 14
loop_
_space_group_symop_operation_xyz
'x,y,z'
'-x,-y,-z'
'-x,y+1/2,-z+1/2'
'x,-y+1/2,z+1/2'
loop_
_atom_site_label
_atom_site_fract_x
_atom_site_fract_y
_atom_site_fract_z
Li1 0.0124 0.0526 0.3489
Li2 0.0419 0.6611 0.5012
Li3 0.1447 0.1908 0.8394
Li4 0.1957 0.7111 0.8316
Li5 0.2013 0.0141 0.1855
Li6 0.2287 0.5572 0.0404
Li7 0.3674 0.5589 0.2408
Li8 0.4022 0.2482 0.0485
Li9 0.4556 0.6857 0.6193
Sb1 0.1665 0.1965 0.6544
Sb2 0.3195 0.5403 0.4356
Sb3 0.3897 0.0534 0.3969
S1 0.1733 0.7418 0.6600
```

VASP calculation (GGA-PBE) on LiSbS after structural relaxation.

## Properties
Total energy ... -4.1135 eV/atom
Maximum piezoelectric response ... 0.15 C/m²
MP2020-corrected energy ... -25.687 eV for the cell shown
Total magnetization ... 0.0 μB/cell
Relative energy among the computed polymorphs ... 0.000 eV per atom

The structure in CIF format:
```
data_LiSbS
_cell_length_a 4.4390
_cell_length_b 4.5348
_cell_length_c 7.1736
_cell_angle_alpha 88.84
_cell_angle_beta 89.77
_cell_angle_gamma 89.75
_space_group_name_H-M_alt 'P 1'
_space_group_IT_number 1
loop_
_space_group_symop_operation_xyz
'x,y,z'
loop_
_atom_site_label
_atom_site_fract_x
_atom_site_fract_y
_atom_site_fract_z
Li1 0.0000 0.0000 0.0000
Li2 0.4991 0.4973 0.9932
Sb1 0.4774 0.0053 0.5045
Sb2 0.9719 0.4410 0.4867
S1 0.4984 0.9996 0.8477
S2 0.9965 0.4923 0.1446
```

VASP calculation (GGA-PBE) on Li6Sb3S after structural relaxation.

## Properties
Total energy ... -3.4297 eV/atom
MP2020-corrected energy ... -69.599 eV for the cell shown
Total magnetization ... 0.0 μB/cell

The structure in CIF format:
```
data_Li6Sb3S
_cell_length_a 8.0653
_cell_length_b 5.8854
_cell_length_c 11.6493
_cell_angle_alpha 90.00
_cell_angle_beta 130.40
_cell_angle_gamma 90.00
_space_group_name_H-M_alt 'P 1 21/c 1'
_space_group_IT_number 14
loop_
_space_group_symop_operation_xyz
'x,y,z'
'-x,-y,-z'
'-x,y+1/2,-z+1/2'
'x,-y+1/2,z+1/2'
loop_
_atom_site_label
_atom_site_fract_x
_atom_site_fract_y
_atom_site_fract_z
Li1 0.0804 0.0320 0.2300
Li2 0.2817 0.2333 0.0646
Li3 0.3052 0.7425 0.6036
Sb1 0.3245 0.0021 0.8333
Sb2 0.5000 0.0000 0.5000
S1 0.0000 0.0000 0.0000
```

VASP calculation (GGA-PBE) on Li8SbS6 after structural relaxation.

## Properties

Could you reproduce only the last part of the block above, starting with the line that has "... -172.037"?

MP2020-corrected energy ... -172.037 eV for the cell shown
Total magnetization ... 0.0 μB/cell

The structure in CIF format:
```
data_Li9Sb3S
_cell_length_a 7.7658
_cell_length_b 9.4498
_cell_length_c 14.5961
_cell_angle_alpha 90.00
_cell_angle_beta 107.50
_cell_angle_gamma 90.00
_space_group_name_H-M_alt 'P 1 21/c 1'
_space_group_IT_number 14
loop_
_space_group_symop_operation_xyz
'x,y,z'
'-x,-y,-z'
'-x,y+1/2,-z+1/2'
'x,-y+1/2,z+1/2'
loop_
_atom_site_label
_atom_site_fract_x
_atom_site_fract_y
_atom_site_fract_z
Li1 0.0124 0.0526 0.3489
Li2 0.0419 0.6611 0.5012
Li3 0.1447 0.1908 0.8394
Li4 0.1957 0.7111 0.8316
Li5 0.2013 0.0141 0.1855
Li6 0.2287 0.5572 0.0404
Li7 0.3674 0.5589 0.2408
Li8 0.4022 0.2482 0.0485
Li9 0.4556 0.6857 0.6193
Sb1 0.1665 0.1965 0.6544
Sb2 0.3195 0.5403 0.4356
Sb3 0.3897 0.0534 0.3969
S1 0.1733 0.7418 0.6600
```

VASP calculation (GGA-PBE) on LiSbS after structural relaxation.

## Properties
Total energy ... -4.1135 eV/atom
Maximum piezoelectric response ... 0.15 C/m²
MP2020-corrected energy ... -25.687 eV for the cell shown
Total magnetization ... 0.0 μB/cell
Relative energy among the computed polymorphs ... 0.000 eV per atom

The structure in CIF format:
```
data_LiSbS
_cell_length_a 4.4390
_cell_length_b 4.5348
_cell_length_c 7.1736
_cell_angle_alpha 88.84
_cell_angle_beta 89.77
_cell_angle_gamma 89.75
_space_group_name_H-M_alt 'P 1'
_space_group_IT_number 1
loop_
_space_group_symop_operation_xyz
'x,y,z'
loop_
_atom_site_label
_atom_site_fract_x
_atom_site_fract_y
_atom_site_fract_z
Li1 0.0000 0.0000 0.0000
Li2 0.4991 0.4973 0.9932
Sb1 0.4774 0.0053 0.5045
Sb2 0.9719 0.4410 0.4867
S1 0.4984 0.9996 0.8477
S2 0.9965 0.4923 0.1446
```

VASP calculation (GGA-PBE) on Li6Sb3S after structural relaxation.

## Properties
Total energy ... -3.4297 eV/atom
MP2020-corrected energy ... -69.599 eV for the cell shown
Total magnetization ... 0.0 μB/cell

The structure in CIF format:
```
data_Li6Sb3S
_cell_length_a 8.0653
_cell_length_b 5.8854
_cell_length_c 11.6493
_cell_angle_alpha 90.00
_cell_angle_beta 130.40
_cell_angle_gamma 90.00
_space_group_name_H-M_alt 'P 1 21/c 1'
_space_group_IT_number 14
loop_
_space_group_symop_operation_xyz
'x,y,z'
'-x,-y,-z'
'-x,y+1/2,-z+1/2'
'x,-y+1/2,z+1/2'
loop_
_atom_site_label
_atom_site_fract_x
_atom_site_fract_y
_atom_site_fract_z
Li1 0.0804 0.0320 0.2300
Li2 0.2817 0.2333 0.0646
Li3 0.3052 0.7425 0.6036
Sb1 0.3245 0.0021 0.8333
Sb2 0.5000 0.0000 0.5000
S1 0.0000 0.0000 0.0000
```

VASP calculation (GGA-PBE) on Li8SbS6 after structural relaxation.

## Properties